> From: [log in to unmask]
> Date:   Mon, 7 Feb 1994 07:45:12 -0500
> Subject: ... and vaccinating your own
NOTE: I have not only trimmed stuff from the quoted article,
      I have done some reformatting, as we were dancing Dangerously
      close to the right edge of the earth.
What comes next are calculated crystals, not part of the text.
~~~
Simulated powder X-ray diffraction pattern of MgSc3 for copper Kα, from a structure optimized by DFT (GGA-PBE).
Lines closer than 0.1° are merged.

Peak list (6 most intense, 2θ from 10° to 90°, sorted by position)
Position (°2θ)	Rel. int.
33.7	34
33.8	100
39.2	65
56.6	20
56.8	20
67.7	33

Unit cell a=3.2428 b=3.2428 c=31.9100 alpha=90.00 beta=90.00 gamma=120.00
Fractional coordinates of all 12 atoms:
Mg  0.0000  0.0000  0.0000
Mg  0.3333  0.6667  0.6667
Mg  0.6667  0.3333  0.3333
Sc  0.0000  0.0000  0.2495
Sc  0.0000  0.0000  0.5000
Sc  0.0000  0.0000  0.7505
Sc  0.3333  0.6667  0.1667
Sc  0.3333  0.6667  0.4172
Sc  0.3333  0.6667  0.9162
Sc  0.6667  0.3333  0.0838
Sc  0.6667  0.3333  0.5828
Sc  0.6667  0.3333  0.8333

* * * * *

Entry 1:
# Cs2TbCuCl6
Simulated powder diffraction line list, Cu Kα, 1.54184 Å. Input: the GGA-PBE geometry in the Materials Project.
Kinematic intensities with the Lorentz-polarization factor, no thermal factor.

Cell and atoms:
Cell lengths 7.4660, 7.4660, 7.4660 Å; angles 60.00, 60.00, 60.00 degrees
Atoms (fractional coordinates):
Cs (0.2500, 0.2500, 0.2500)
Cs (0.7500, 0.7500, 0.7500)
Tb (0.0000, 0.0000, 0.0000)
Cu (0.5000, 0.5000, 0.5000)
Cl (0.2526, 0.2526, 0.7474)
Cl (0.2526, 0.7474, 0.2526)
Cl (0.2526, 0.7474, 0.7474)
Cl (0.7474, 0.2526, 0.2526)
Cl (0.7474, 0.2526, 0.7474)
Cl (0.7474, 0.7474, 0.2526)

The 10 most intense peaks (10° ≤ 2θ ≤ 80°), most intense first:
| two_theta | I_rel |
| --- | --- |
| 23.84 | 100 |
| 33.96 | 58 |
| 41.92 | 46 |
| 48.79 | 40 |
| 66.24 | 24 |
| 55.00 | 21 |
| 29.30 | 15 |
| 60.78 | 13 |
| 76.57 | 12 |
| 14.53 | 9 |

Entry 2:
# Cs2TlCuCl6
Simulated powder diffraction line list, Cu Kα, 1.54184 Å. Input: the GGA-PBE geometry in the Materials Project.
Kinematic intensities with the Lorentz-polarization factor, no thermal factor.

Cell and atoms:
Cell lengths 7.4204, 7.4204, 7.4204 Å; angles 60.00, 60.00, 60.00 degrees
Atoms (fractional coordinates):
Cs (0.2500, 0.2500, 0.2500)
Cs (0.7500, 0.7500, 0.7500)
Tl (0.0000, 0.0000, 0.0000)
Cu (0.5000, 0.5000, 0.5000)
Cl (0.2635, 0.2635, 0.7365)
Cl (0.2635, 0.7365, 0.2635)
Cl (0.2635, 0.7365, 0.7365)
Cl (0.7365, 0.2635, 0.2635)
Cl (0.7365, 0.2635, 0.7365)
Cl (0.7365, 0.7365, 0.2635)

The 10 most intense peaks (10° ≤ 2θ ≤ 80°), most intense first:
| two_theta | I_rel |
| --- | --- |
| 23.98 | 100 |
| 34.18 | 53 |
| 42.19 | 45 |
| 49.11 | 36 |
| 66.70 | 24 |
| 55.37 | 22 |
| 61.19 | 12 |
| 77.12 | 12 |
| 28.20 | 12 |
| 14.62 | 12 |

* * * * *

[1]
Computed PXRD pattern
Compound: K3H3Pd
Radiation: Cu Ka
Structure: a cell relaxed with PBE
Peak positions follow from Bragg's law for the DFT cell and can differ from measured ones.

Main lines, sorted by position (5° ≤ 2θ ≤ 70°):
| 2theta | I (rel.) | (hkl) |
| --- | --- | --- |
| 16.56 | 23 | 2 0 0 |
| 17.35 | 12 | 0 0 2 |
| 24.07 | 21 | 2 0 2 |
| 29.36 | 100 | 2 2 2 |
| 33.49 | 36 | 4 0 0 |
| 35.10 | 14 | 0 0 4 |
| 41.67 | 14 | 4 2 2 |
| 48.09 | 11 | 4 4 0 |
| 49.30 | 16 | 4 0 4 |
~~~
In a reply to a posting regarding the high co$t of vet care, Dr. W  said:
> People wouldn't vaccinate their own children, would
> they?
Well, I don't see why not.  Lay people learn how to give injections
all the time.  Diabetic children do it.  Allergy sufferers do it.
Even junkys can do it.  Empirical evidence suggests that one
does not need an advanced medical degree to perform injections.
>  Also, who issues the rabies and distemper vaccination certificates?
This is a much meatier question.  I love my vet dearly, but the
distemper vaccination certificates she used to give out, were
dog certificates with dog crossed out (with a pen) and ferret
written in.   Now the certificates are laser printed along with
the receipts for the visit, and I'm usure (because I haven't
verified it) that they are kosher.  I trust my vet, but if she
can just dash one off on her HPLJ4, why can't I?
> Who examines the ferret for other health problems ?
My vet, no question there.  But I object to paying fifteen
bucks a stick when the raw materials cost closer to four.
Whats my threshold? I dunno, ten bucks... Seven maybe, if
I bring in four at a time.
> Animals should be occasionally seen by a vet to be checked over.
> The best time for this is during the annual
> (or semiannual, for older animals) trips to the vet.
Yes!  But I'd rather pay the vet for the diagnostic skills
that they learned  in Vet School, than for the shots which
I can get easily and a lot more cheaply.  Two injections
should not cost as much or more than the examination.
[ deletia - lenny.  ]
> I'm sure I'll hear from a lot of people on this subject ...[deletia]
You think so?
> I am as outraged at the price of veterinary
> care in this country as the rest of you are.
If I couldn't afford them, I'd find them homes that could.
I just think that shots are overpriced.
If Nancy's vet can come to a ferret fest and do
sticks for five buck a peice, other vets can bring
Between two parts of the article: materials data >
********
# 1
The following is a calculated powder X-ray diffraction pattern of Na6Bi2B4PO16. It was derived from a DFT-relaxed cell (PBE, Alexandria), using Cu Ka.
Peak positions follow from Bragg's law for the DFT cell and can differ from measured ones.

Atomic structure:
abc: 14.5007 14.5007 14.5007
angles: 90.00 90.00 90.00
Space group Fd-3 (No. 203, origin choice 2)
Unique sites:
Na (0.0781, 0.3750, 0.3750) (multiplicity 48)
Bi (0.0000, 0.0000, 0.5000) (multiplicity 16)
B (0.0309, 0.0309, 0.7191) (multiplicity 32)
P (0.1250, 0.1250, 0.1250) (multiplicity 8)
O (0.0234, 0.2844, 0.6005) (multiplicity 96)
O (0.0629, 0.0629, 0.0629) (multiplicity 32)

Main lines, by intensity (2θ from 5° to 70°):
d 4.372, intensity 100, hkl 3 1 1
d 8.372, intensity 72, hkl 1 1 1
d 4.186, intensity 63, hkl 2 2 2
d 2.563, intensity 57, hkl 4 4 0
d 2.791, intensity 53, hkl 5 1 1
d 2.186, intensity 48, hkl 6 2 2
d 2.451, intensity 34, hkl 5 3 1
d 3.625, intensity 31, hkl 4 0 0

=====

# 2
The following is a calculated powder X-ray diffraction pattern of Nd3BiB2Rh9. It was derived from a DFT-relaxed cell (PBE, Alexandria), using Cu Ka.
Peak positions follow from Bragg's law for the DFT cell and can differ from measured ones.

Atomic structure:
abc: 5.9342 5.9342 8.9584
angles: 90.00 90.00 120.00
Space group P-3m1 (No. 164)
Unique sites:
Nd (0.0000, 0.0000, 0.0000) (multiplicity 1)
Nd (0.3333, 0.6667, 0.6843) (multiplicity 2)
Bi (0.0000, 0.0000, 0.5000) (multiplicity 1)
B (0.3333, 0.6667, 0.1418) (multiplicity 2)
Rh (0.0000, 0.5000, 0.0000) (multiplicity 3)
Rh (0.1649, 0.3299, 0.2656) (multiplicity 6)

Main lines, by intensity (2θ from 5° to 70°):
d 2.229, intensity 100, hkl 2 0 2
d 2.470, intensity 82, hkl 0 2 1
d 1.484, intensity 28, hkl 2 2 0
d 2.240, intensity 20, hkl 0 0 4
d 3.377, intensity 20, hkl 0 1 2
d 1.948, intensity 20, hkl 2 0 3
d 2.986, intensity 15, hkl 0 0 3
d 5.139, intensity 14, hkl 1 0 0


Nd7Sm2Y2: simulated powder diffractogram (Cu Kα, 1.54184 Å), based on a DFT-relaxed cell (GGA-PBE, Alexandria).

Structural model:
```
Nd7Sm2Y2
1.0
4.2950 -5.5584 0.0000
4.2950 5.5584 0.0000
-2.2778 0.0000 8.0417
Nd Sm Y
7 2 2
Cartesian
0.0000 0.0000 0.0000 Nd
0.6887 2.2898 6.6904 Nd
3.2426 0.0000 1.4835 Nd
5.6236 2.2898 1.3512 Nd
0.6887 -2.2898 6.6904 Nd
3.0697 0.0000 6.5581 Nd
5.6236 -2.2898 1.3512 Nd
3.1562 2.4141 4.0208 Sm
3.1562 -2.4141 4.0208 Sm
0.5845 0.0000 3.7861 Y
5.7278 0.0000 4.2556 Y
```

Principal peaks in the range 2θ from 10° to 80°, by angle:
2θ = 26.37°, intensity 20
2θ = 29.78°, intensity 29
2θ = 30.97°, intensity 70
2θ = 31.35°, intensity 100
2θ = 32.21°, intensity 34
2θ = 32.37°, intensity 31
2θ = 32.65°, intensity 42
2θ = 33.43°, intensity 36
2θ = 42.09°, intensity 23
2θ = 52.13°, intensity 25


# 1
FeCuAu: simulated powder diffraction line list (CuKα), based on a crystal structure in Alexandria, relaxed with PBE.
Kinematic intensities with the Lorentz-polarization factor, no thermal factor.

Principal peaks in the range 2θ from 5° to 70°, by angle:
********
their vaccination fees down to single digits.
> But good health care far outweighs
> the cost-effectiveness of catalog-shopping for vaccines and needles.
But is the latter that much of a threat to the former.
I infer that you think it is. I'm not so sure.
> Bruce Williams, DVM
Well. That was fun to write. Thanks.
    Leonard A. Jaffe - [log in to unmask] - My heart is a flower
          All at once there's a fat guy in a clown suit...
[Posted in FML issue 0723]